On Saturday, July 18, 2020, Orcasound participated in “Summer Create-a-thon”, a hackathon run by DemocracyLab. Our goal was to design an orca call teaching interface for concerned citizen scientists, so that they could identify what they might hear when listening to a live hydrophone. The hackathon was a success, and I’m excited that the design process for the teaching interface was started.

The day started with my pitch of the project. I was excited to encourage new UXers and devs to join Orcasound, and hoped that my prepared 1 minute pitch would bring in some fresh UX and dev talent.

After the pitch process, I went to our breakout Zoom room. We had a few people drop by and express interest in being involved with Orcasound on a long-term basis, which was great! There were a few long-time committed volunteers that showed up as well.

After introducing the project in more detail, we had a discussion about what was feasible for the day. Diego shared the machine learning UI he had come up with, and we decided that the teaching interface would be integrated into his design.

It turned out that no dev work could be done until there was a design to implement. We decided to meet back in the Orcasound meeting room at 1 PM, and the UX team would design the teaching interface.

For 2 hours, I worked with teammate Sam to design initial interface designs. I designed the learning interface, presenting the different Southern Resident Killer Whale (SRKW) calls- some 40+ distinct vocal patterns that users could browse through and listen to.

Sam designed the teaching interface- a chance for users to test their knowledge of orca calls by choosing the correct call from 2 options.

Admittedly, these designs are basic; they need some iteration, pixel pushing, and user testing. But it’s a great start to a feature that is a critical part of Orcasound!
At 1 PM, we got back together in the Orcasound main meeting Zoom room. Developer James started implementing the design in a Github branch, and I started preparing for the final presentation.

**Unrelated to this piece: materials data**
********
Entry 1:
The following is a DFT calculation (r2SCAN) of a relaxed Yb3Ni crystal.

## Properties
Raw total energy: -491.01 eV per cell
Formation enthalpy at 0 K: -295.8 meV per atom
Calculated density: 10.0 g/cm³
Spin magnetization: 0.31 μB per formula unit

a = 6.160 Å, b = 6.673 Å, c = 9.373 Å
α = 90.00°, β = 90.00°, γ = 90.00°
Atoms (fractional coordinates):
Ni  0.451  0.394  0.250
Yb  0.182  0.178  0.433
Ni  0.549  0.606  0.750
Ni  0.951  0.106  0.750
Yb  0.818  0.822  0.933
Yb  0.862  0.535  0.250
Yb  0.638  0.035  0.250
Yb  0.362  0.965  0.750
Yb  0.318  0.678  0.067
Ni  0.049  0.894  0.250
Yb  0.182  0.178  0.067
Yb  0.318  0.678  0.433
Yb  0.818  0.822  0.567
Yb  0.138  0.465  0.750
Yb  0.682  0.322  0.567
Yb  0.682  0.322  0.933


Entry 2:
The following is a DFT calculation (r2SCAN) of a relaxed Er3Pt crystal.

## Properties
Raw total energy: -625.95 eV per cell
Formation enthalpy at 0 K: -805.8 meV per atom
Calculated density: 10.9 g/cm³
Spin magnetization: 0.38 μB per formula unit

a = 6.393 Å, b = 6.963 Å, c = 9.504 Å
α = 90.00°, β = 90.01°, γ = 90.00°
Atoms (fractional coordinates):
Pt  0.951  0.114  0.750
Er  0.132  0.473  0.750
Er  0.681  0.324  0.938
Er  0.681  0.324  0.562
Er  0.181  0.176  0.062
Er  0.819  0.824  0.562
Pt  0.451  0.386  0.250
Er  0.319  0.676  0.438
Er  0.819  0.824  0.938
Er  0.868  0.527  0.250
Er  0.632  0.027  0.250
Er  0.319  0.676  0.062
Pt  0.549  0.614  0.750
Pt  0.049  0.886  0.250
Er  0.181  0.176  0.438
Er  0.368  0.973  0.750


Entry 3:
The following is a DFT calculation (r2SCAN) of a relaxed LaYbS3 crystal.

## Properties
Raw total energy: -205.46 eV per cell
Formation enthalpy at 0 K: -2470.6 meV per atom
Calculated density: 5.7 g/cm³
Spin magnetization: 0.00 μB per formula unit

a = 6.620 Å, b = 6.620 Å, c = 9.548 Å
α = 90.00°, β = 90.00°, γ = 145.52°
Atoms (fractional coordinates):
S  0.360  0.640  0.061
La  0.746  0.254  0.250
S  0.640  0.360  0.561
S  0.640  0.360  0.939
S  0.083  0.917  0.250
S  0.917  0.083  0.750
Yb  0.000  0.000  0.500
S  0.360  0.640  0.439
La  0.254  0.746  0.750
Yb  0.000  0.000  0.000


Entry 4:
The following is a DFT calculation (r2SCAN) of a relaxed Fe9Co7 crystal.

## Properties
Raw total energy: -225.60 eV per cell
Formation enthalpy at 0 K: -202.3 meV per atom
Calculated density: 8.3 g/cm³
Spin magnetization: 38.45 μB per formula unit

a = 5.673 Å, b = 5.673 Å, c = 5.673 Å
α = 90.00°, β = 90.00°, γ = 90.00°
Atoms (fractional coordinates):
Fe  0.500  0.500  0.500
Fe  0.750  0.250  0.250
Co  0.500  0.000  0.000
Co  0.500  0.000  0.500
Co  0.000  0.000  0.000
Fe  0.250  0.250  0.750
Co  0.000  0.000  0.500
Fe  0.750  0.750  0.750
Fe  0.250  0.250  0.250
Co  0.500  0.500  0.000
Co  0.000  0.500  0.500
Fe  0.250  0.750  0.750
Fe  0.750  0.250  0.750
Co  0.000  0.500  0.000
Fe  0.250  0.750  0.250
Fe  0.750  0.750  0.250


Entry 5:
The following is a DFT calculation (r2SCAN) of a relaxed Mg2MnGa3 crystal.

## Properties
Raw total energy: -117.29 eV per cell
********

James wasn’t able to finish implementing in the few hours left, but the progress made on the design was worth the effort. I enjoyed working with my fellow hackathoners, and I’m excited for the further development of the UX team. We even recruited some new team members, which will help drive design for Orcasound forward even more!

Someone pasted records of crystals at this point.
____________
# VS2O8 GGA+U relaxed
data_VS2O8
_chemical_formula_sum 'V9 S18 O72'
_cell_length_a 8.3767
_cell_length_b 8.3767
_cell_length_c 22.3875
_cell_angle_alpha 90.00
_cell_angle_beta 90.00
_cell_angle_gamma 120.00
_space_group_name_H-M_alt 'R 3'
_space_group_IT_number 146
_space_group_name_Hall 'R 3'
loop_
_atom_site_label
_atom_site_fract_x
_atom_site_fract_y
_atom_site_fract_z
_atom_site_occupancy
V1 0.0000 0.0000 0.0000 1
V2 0.0000 0.0000 0.2078 1
V3 0.0000 0.0000 0.4974 1
S1 0.0051 0.2852 0.1020 1
S2 0.0526 0.6740 0.2698 1
O1 0.0065 0.1878 0.4439 1
O2 0.0132 0.8100 0.5442 1
O3 0.0183 0.1938 0.1601 1
O4 0.0830 0.2223 0.0535 1
O5 0.0835 0.2391 0.7600 1
O6 0.1614 0.6934 0.9227 1
O7 0.1781 0.7369 0.6148 1
O8 0.1846 0.7535 0.3166 1
# MP2020-corrected energy, eV per cell: -701.29
# Formation enthalpy at 0 K, eV per formula unit: -20.98
# ΔE to the lowest computed polymorph, eV/atom: 0.013

# NdMoO5 GGA+U relaxed
data_NdMoO5
_chemical_formula_sum 'Nd4 Mo4 O20'
_cell_length_a 5.506
_cell_length_b 12.885
_cell_length_c 7.152
_cell_angle_alpha 90.00
_cell_angle_beta 115.46
_cell_angle_gamma 90.00
_space_group_name_H-M_alt 'P 1 21/c 1'
_space_group_IT_number 14
loop_
_space_group_symop_operation_xyz
'x,y,z'
'-x,-y,-z'
'-x,y+1/2,-z+1/2'
'x,-y+1/2,z+1/2'
loop_
_atom_site_label
_atom_site_fract_x
_atom_site_fract_y
_atom_site_fract_z
_atom_site_occupancy
Nd1 0.149 0.058 0.287 1
Mo1 0.411 0.137 0.854 1
O1 0.002 0.576 0.951 1
O2 0.207 0.065 0.959 1
O3 0.275 0.650 0.427 1
O4 0.293 0.235 0.284 1
O5 0.492 0.572 0.838 1
# MP2020-corrected energy, eV per cell: -231.28
# Formation enthalpy at 0 K, eV per formula unit: -17.47

# MoH4O5 GGA+U relaxed
data_MoH4O5
_chemical_formula_sum 'Mo16 H64 O80'
_cell_length_a 10.644
_cell_length_b 14.185
_cell_length_c 15.380
_cell_angle_alpha 90.00
_cell_angle_beta 133.12
_cell_angle_gamma 90.00
_space_group_name_H-M_alt 'P 1 21/c 1'
_space_group_IT_number 14
loop_
_space_group_symop_operation_xyz
'x,y,z'
'-x,-y,-z'
'-x,y+1/2,-z+1/2'
'x,-y+1/2,z+1/2'
loop_
_atom_site_label
_atom_site_fract_x
_atom_site_fract_y
_atom_site_fract_z
_atom_site_occupancy
Mo1 0.038 0.224 0.130 1
Mo2 0.244 0.746 0.864 1
Mo3 0.259 0.240 0.897 1
Mo4 0.290 0.731 0.140 1
H1 0.033 0.038 0.687 1
H2 0.096 0.049 0.387 1
H3 0.103 0.039 0.136 1
H4 0.104 0.522 0.387 1
H5 0.106 0.072 0.944 1
H6 0.115 0.554 0.118 1
H7 0.142 0.584 0.777 1
H8 0.147 0.553 0.031 1
H9 0.292 0.091 0.221 1
H10 0.377 0.056 0.984 1
H11 0.383 0.067 0.625 1
H12 0.394 0.059 0.887 1
H13 0.400 0.532 0.868 1
H14 0.432 0.554 0.640 1
H15 0.449 0.535 0.302 1
H16 0.455 0.546 0.060 1
O1 0.010 0.747 0.505 1
O2 0.021 0.203 0.746 1
O3 0.022 0.003 0.382 1
O4 0.030 0.026 0.880 1
O5 0.136 0.650 0.370 1
O6 0.168 0.098 0.148 1
O7 0.197 0.576 0.110 1
O8 0.217 0.702 0.987 1
O9 0.227 0.138 0.393 1
O10 0.232 0.720 0.246 1
O11 0.239 0.195 0.993 1
O12 0.255 0.610 0.848 1
O13 0.260 0.239 0.762 1
O14 0.288 0.092 0.618 1
O15 0.325 0.082 0.906 1
O16 0.326 0.647 0.650 1
O17 0.471 0.011 0.365 1
O18 0.474 0.744 0.489 1
____________

One issue that came up was the fact that the devs couldn’t start their work without design. When I attended my first DemocracyLab hackathon in 2019 for a different nonprofit, I remember that the devs had started working before I had given them a design. I was hoping for the same, but I was told that the project required front-end dev work. I’m hoping that future hackathons can be planned in such a way that uses both UXers and devs, perhaps working on separate projects. I got around this issue during the last hackathon by designing before the event and asking the devs to implement what I had designed. This solution requires that only one type of work can be done during a hackathon though, as no UXers had a project to work on.
In any case, I know that we drove design forward for Orcasound at Summer Create-a-thon 2020, and I’m looking forward to seeing how design and development of the website will evolve for the rest of the year in support of orca conservation in the Salish Sea!
It was really fun and had a learning experience with other folks. I am looking forward to join more of these types of Hackathons.